## Entries
+++
# 1
DFT (ωB97M-V/def2-TZVPD) results for a structure of composition C29H34CoN4 in a non-equilibrium geometry.

The multiplicity is 2. The total energy comes out at -2726.8322 hartree. The orbital gap (alpha / beta) is 8.29 / 8.89 eV. As for the net charge: +2. Its expectation value of S² is 0.893. As for the HOMO energy (alpha / beta): -14.3 / -14.8 eV.

```
68
Properties=species:S:1:pos:R:3:nbo_charge:R:1
Co -0.293 -0.534 0.313 1.1810
N 0.378 -2.453 -0.322 -0.5077
N -1.081 -1.300 2.033 -0.5242
N 1.533 -0.787 1.353 -0.4694
N -0.545 1.389 1.024 -0.5225
C 2.023 2.916 -2.510 -0.6101
C 2.399 -3.404 -1.148 -0.2294
C -0.221 -0.119 -1.946 -0.3433
C -2.798 -1.642 3.649 -0.2211
C -1.846 -2.004 4.591 -0.1122
C 2.439 -1.378 0.361 -0.2639
C -1.777 1.855 1.266 0.0656
C -2.124 1.877 -1.752 -0.1717
C 1.884 1.663 0.990 -0.4648
C 0.306 3.581 1.364 -0.1898
C 1.717 -2.456 -0.405 0.2124
C 1.676 -4.387 -1.806 -0.1068
C 1.598 1.132 -4.228 -0.5949
C 2.080 0.462 1.914 -0.2174
C 0.159 1.204 -2.206 0.1433
C -3.955 0.224 -1.220 -0.6503
C -2.036 3.178 1.552 -0.2381
C -0.161 -1.665 2.933 0.2113
C -2.371 -1.290 2.385 0.0478
C 1.550 1.482 -2.731 -0.2742
C -0.314 -3.425 -0.925 0.0524
C -0.973 4.068 1.574 -0.1236
C 0.496 2.230 1.109 0.2307
C -2.518 0.566 -1.492 0.0257
C -1.548 -0.438 -1.575 -0.3374
C 0.294 -4.413 -1.673 -0.2208
C 1.258 -1.759 2.434 -0.2597
C -0.816 2.192 -2.087 -0.2150
C -0.508 -2.012 4.227 -0.2216
H 1.456 3.618 -3.122 0.2210
H 1.559 0.660 2.852 0.2245
H -2.142 -2.275 5.595 0.2512
H -4.501 0.178 -2.165 0.2597
H -0.298 -5.187 -2.141 0.2555
H -0.564 3.224 -2.295 0.2397
H -3.048 3.504 1.746 0.2500
H -1.388 -3.410 -0.791 0.2173
H 3.330 -1.799 0.843 0.2275
H -2.582 1.134 1.235 0.2090
H 2.778 -0.601 -0.326 0.2369
H 1.938 3.225 -1.465 0.1986
H 2.091 1.405 -0.052 0.2341
H 1.284 0.104 -4.413 0.2097
H -2.867 2.664 -1.706 0.2365
H 3.068 3.007 -2.806 0.2378
H -3.080 -0.994 1.621 0.2064
H 0.254 -2.293 4.941 0.2455
H 1.390 -2.768 2.041 0.2399
H 0.460 -0.906 -2.249 0.2408
H 0.940 1.797 -4.789 0.2210
H 2.241 0.805 -2.213 0.1916
H 2.185 -5.134 -2.400 0.2529
H 1.164 4.237 1.421 0.2373
H -4.447 0.980 -0.608 0.2314
H 3.479 -3.379 -1.205 0.2485
H 3.142 0.330 2.144 0.2185
H 1.967 -1.639 3.256 0.2313
H -3.852 -1.630 3.889 0.2514
H -1.136 5.118 1.777 0.2498
H -4.054 -0.750 -0.741 0.2172
H -1.882 -1.470 -1.583 0.2400
H 2.612 1.255 -4.609 0.2314
H 2.599 2.433 1.273 0.2555
```


# 2
DFT (ωB97M-V/def2-TZVPD) results for a structure of composition C29H34CrF6N9O7S2.

The multiplicity is 5. The total energy comes out at -4584.9260 hartree. The orbital gap (alpha / beta) is 9.06 / 9.04 eV. As for the net charge: +1. For the energy relative to the best compared isomer or geometry (same formula, charge and spin), the calculation gives 59.05 kJ/mol. Its expectation value of S² is 6.010. As for the HOMO energy (alpha / beta): -11.3 / -11.5 eV.

```
88
Properties=species:S:1:pos:R:3:mulliken_spin:R:1
Cr -0.157 -0.736 0.208 4.0013
S -4.346 -1.853 -0.445 0.0035
S -2.910 0.224 -1.581 -0.0489
F -6.539 -2.795 0.532 0.0000
F -6.609 -0.669 0.124 0.0000
F -4.377 1.941 -0.241 0.0001
F -6.734 -2.090 -1.506 0.0000
F -2.360 2.609 -0.655 0.0023
F -2.713 1.152 0.899 0.0074
O 0.227 3.479 -3.367 0.0002
O 6.781 -1.835 2.163 0.0000
O -1.681 -0.471 -1.146 -0.0380
O -3.876 -1.537 0.882 0.0045
O -1.021 -1.048 2.335 0.0068
O -3.996 -3.134 -0.989 -0.0009
O -2.827 0.910 -2.820 -0.0006
N 4.123 -1.516 1.413 0.0013
N 1.908 4.850 -2.718 -0.0002
N 1.783 -1.217 0.721 -0.0572
N 3.882 1.417 -0.002 0.0024
N -1.120 -4.099 -1.010 0.0145
N 0.367 1.284 0.097 -0.1717
N -4.164 -0.680 -1.496 0.0018
N -2.157 -2.978 2.761 -0.0016
N -1.003 -2.610 0.727 0.0366
C 0.774 6.480 -4.211 0.0000
C 1.900 5.472 -4.048 0.0000
C 4.609 -0.926 2.672 0.0011
C 4.287 2.411 0.413 0.0004
C 3.073 5.088 -1.877 0.0018
C 0.866 3.269 -1.129 0.0002
C 5.892 4.252 0.303 0.0001
C -1.451 -3.760 0.242 0.0000
C 4.142 4.294 1.978 -0.0001
+++
## Brief
Your job: give back everything further above character by character.
## Result
# 1
DFT (ωB97M-V/def2-TZVPD) results for a structure of composition C29H34CoN4 in a non-equilibrium geometry.

The multiplicity is 2. The total energy comes out at -2726.8322 hartree. The orbital gap (alpha / beta) is 8.29 / 8.89 eV. As for the net charge: +2. Its expectation value of S² is 0.893. As for the HOMO energy (alpha / beta): -14.3 / -14.8 eV.

```
68
Properties=species:S:1:pos:R:3:nbo_charge:R:1
Co -0.293 -0.534 0.313 1.1810
N 0.378 -2.453 -0.322 -0.5077
N -1.081 -1.300 2.033 -0.5242
N 1.533 -0.787 1.353 -0.4694
N -0.545 1.389 1.024 -0.5225
C 2.023 2.916 -2.510 -0.6101
C 2.399 -3.404 -1.148 -0.2294
C -0.221 -0.119 -1.946 -0.3433
C -2.798 -1.642 3.649 -0.2211
C -1.846 -2.004 4.591 -0.1122
C 2.439 -1.378 0.361 -0.2639
C -1.777 1.855 1.266 0.0656
C -2.124 1.877 -1.752 -0.1717
C 1.884 1.663 0.990 -0.4648
C 0.306 3.581 1.364 -0.1898
C 1.717 -2.456 -0.405 0.2124
C 1.676 -4.387 -1.806 -0.1068
C 1.598 1.132 -4.228 -0.5949
C 2.080 0.462 1.914 -0.2174
C 0.159 1.204 -2.206 0.1433
C -3.955 0.224 -1.220 -0.6503
C -2.036 3.178 1.552 -0.2381
C -0.161 -1.665 2.933 0.2113
C -2.371 -1.290 2.385 0.0478
C 1.550 1.482 -2.731 -0.2742
C -0.314 -3.425 -0.925 0.0524
C -0.973 4.068 1.574 -0.1236
C 0.496 2.230 1.109 0.2307
C -2.518 0.566 -1.492 0.0257
C -1.548 -0.438 -1.575 -0.3374
C 0.294 -4.413 -1.673 -0.2208
C 1.258 -1.759 2.434 -0.2597
C -0.816 2.192 -2.087 -0.2150
C -0.508 -2.012 4.227 -0.2216
H 1.456 3.618 -3.122 0.2210
H 1.559 0.660 2.852 0.2245
H -2.142 -2.275 5.595 0.2512
H -4.501 0.178 -2.165 0.2597
H -0.298 -5.187 -2.141 0.2555
H -0.564 3.224 -2.295 0.2397
H -3.048 3.504 1.746 0.2500
H -1.388 -3.410 -0.791 0.2173
H 3.330 -1.799 0.843 0.2275
H -2.582 1.134 1.235 0.2090
H 2.778 -0.601 -0.326 0.2369
H 1.938 3.225 -1.465 0.1986
H 2.091 1.405 -0.052 0.2341
H 1.284 0.104 -4.413 0.2097
H -2.867 2.664 -1.706 0.2365
H 3.068 3.007 -2.806 0.2378
H -3.080 -0.994 1.621 0.2064
H 0.254 -2.293 4.941 0.2455
H 1.390 -2.768 2.041 0.2399
H 0.460 -0.906 -2.249 0.2408
H 0.940 1.797 -4.789 0.2210
H 2.241 0.805 -2.213 0.1916
H 2.185 -5.134 -2.400 0.2529
H 1.164 4.237 1.421 0.2373
H -4.447 0.980 -0.608 0.2314
H 3.479 -3.379 -1.205 0.2485
H 3.142 0.330 2.144 0.2185
H 1.967 -1.639 3.256 0.2313
H -3.852 -1.630 3.889 0.2514
H -1.136 5.118 1.777 0.2498
H -4.054 -0.750 -0.741 0.2172
H -1.882 -1.470 -1.583 0.2400
H 2.612 1.255 -4.609 0.2314
H 2.599 2.433 1.273 0.2555
```


# 2
DFT (ωB97M-V/def2-TZVPD) results for a structure of composition C29H34CrF6N9O7S2.

The multiplicity is 5. The total energy comes out at -4584.9260 hartree. The orbital gap (alpha / beta) is 9.06 / 9.04 eV. As for the net charge: +1. For the energy relative to the best compared isomer or geometry (same formula, charge and spin), the calculation gives 59.05 kJ/mol. Its expectation value of S² is 6.010. As for the HOMO energy (alpha / beta): -11.3 / -11.5 eV.

```
88
Properties=species:S:1:pos:R:3:mulliken_spin:R:1
Cr -0.157 -0.736 0.208 4.0013
S -4.346 -1.853 -0.445 0.0035
S -2.910 0.224 -1.581 -0.0489
F -6.539 -2.795 0.532 0.0000
F -6.609 -0.669 0.124 0.0000
F -4.377 1.941 -0.241 0.0001
F -6.734 -2.090 -1.506 0.0000
F -2.360 2.609 -0.655 0.0023
F -2.713 1.152 0.899 0.0074
O 0.227 3.479 -3.367 0.0002
O 6.781 -1.835 2.163 0.0000
O -1.681 -0.471 -1.146 -0.0380
O -3.876 -1.537 0.882 0.0045
O -1.021 -1.048 2.335 0.0068
O -3.996 -3.134 -0.989 -0.0009
O -2.827 0.910 -2.820 -0.0006
N 4.123 -1.516 1.413 0.0013
N 1.908 4.850 -2.718 -0.0002
N 1.783 -1.217 0.721 -0.0572
N 3.882 1.417 -0.002 0.0024
N -1.120 -4.099 -1.010 0.0145
N 0.367 1.284 0.097 -0.1717
N -4.164 -0.680 -1.496 0.0018
N -2.157 -2.978 2.761 -0.0016
N -1.003 -2.610 0.727 0.0366
C 0.774 6.480 -4.211 0.0000
C 1.900 5.472 -4.048 0.0000
C 4.609 -0.926 2.672 0.0011
C 4.287 2.411 0.413 0.0004
C 3.073 5.088 -1.877 0.0018
C 0.866 3.269 -1.129 0.0002
C 5.892 4.252 0.303 0.0001
C -1.451 -3.760 0.242 0.0000
C 4.142 4.294 1.978 -0.0001